
(These materials data were left in the entry by mistake)
........
{
  "formula": "PaI4Br",
  "functional": "PBE",
  "state": "optimized geometry",
  "lattice": [[8.091, -3.617, 0.000], [8.091, 3.617, 0.000], [-1.190, 0.000, 8.656]],
  "species": ["Pa", "Pa", "I", "I", "I", "I", "I", "I", "I", "I", "Br", "Br"],
  "frac_coords": [[0.042, 0.042, 0.225], [0.958, 0.958, 0.775], [0.140, 0.660, 0.074], [0.217, 0.217, 0.341], [0.240, 0.760, 0.500], [0.340, 0.860, 0.926], [0.660, 0.140, 0.074], [0.760, 0.240, 0.500], [0.783, 0.783, 0.659], [0.860, 0.340, 0.926], [0.386, 0.386, 0.734], [0.614, 0.614, 0.266]],
  "magmom_total_mub_per_cell": 0.1,
  "spacegroup": "C2/m, No. 12",
  "formation_energy_uncorrected_ev_per_atom": -0.693,
  "polymorph_energy_mev_per_atom": 278
}


The following is a DFT calculation (PBE-GGA) of a geometry-optimized SmAg3Br6 structure.

Properties
Theoretical density ... 4133 kg/m3
Uncorrected energy ... -3.215 eV per atom
Total magnetic moment ... 0.0 μB/f.u.

Unit cell a=7.9583 b=7.9624 c=8.2204 alpha=61.36 beta=61.33 gamma=62.70
With the nearest neighbours (Å) after each atom.
Space group P-1 (No. 2)
Symmetry-distinct sites (fractional):
Sm 0.0000 0.0000 0.0000 [1 per cell]  6 Br 2.86-2.89
Ag 0.0000 0.5000 0.0000 [1 per cell]  2 Br 2.57
Ag 0.5000 0.0000 0.0000 [1 per cell]  2 Br 2.57
Ag 0.5000 0.5000 0.5000 [1 per cell]  6 Br 2.81-2.96
Br 0.2236 0.7332 0.7712 [2 per cell]  1 Ag 2.57
Br 0.2502 0.2508 0.7095 [2 per cell]  1 Ag 2.81, 1 Sm 2.86
Br 0.2706 0.7724 0.2249 [2 per cell]  1 Ag 2.57


DFT (PBE) results for BaAc2Te4 after structural relaxation.

SG ... Cmcm, No. 63
Energy above the lowest structure with this stoichiometry ... 26 meV/atom
E_form (uncorrected) ... -1622 meV/atom
Raw total energy ... -4.8662 eV/atom

Cell lengths 4.771, 8.231, 16.061 Å; angles 90.00, 90.00, 106.85 degrees
Positions (direct):
Ba1 0.613 0.227 0.750
Ba2 0.387 0.773 0.250
Ac1 0.134 0.268 0.431
Ac2 0.866 0.732 0.931
Ac3 0.134 0.268 0.069
Ac4 0.866 0.732 0.569
Te1 0.772 0.543 0.119
Te2 0.772 0.543 0.381
Te3 0.228 0.457 0.881
Te4 0.228 0.457 0.619
Te5 0.957 0.913 0.750
Te6 0.043 0.087 0.250
Te7 0.500 0.000 0.000
Te8 0.500 0.000 0.500

---

DFT (PBE) results for Re2HgTeH after structural relaxation.

SG ... P4/mmm, No. 123
Raw total energy ... -4.7200 eV/atom

Cell lengths 5.072, 3.396, 5.072 Å; angles 90.00, 90.00, 90.00 degrees
Positions (direct):
Re1 0.000 0.000 0.500
Re2 0.500 0.000 0.000
Te1 0.000 0.000 0.000
Hg1 0.500 0.500 0.500
H1 0.000 0.500 0.000

---

DFT (PBE) results for TbPm2Nd4 after structural relaxation.

SG ... R-3m, No. 166
Energy above the lowest structure with this stoichiometry ... 0 meV/atom
Energy of formation from the pure elements ... 9 meV per atom
Raw total energy ... -4.7343 eV/atom

Cell lengths 3.656, 3.656, 20.946 Å; angles 84.99, 84.99, 60.00 degrees
Positions (direct):
Tb1 0.000 0.000 0.000
........
企业简介 中信珍珠岩矿业集团是集生产、销售新型墙体、节能防水保温材料于一体的工贸结合的专业环保节能材料企业。长期专业生产加工:珍珠岩,憎水珍珠岩保温板(砖),膨胀珍珠岩,珍珠岩保温管材型材,闭孔珍珠岩,玻化微珠(保温砂浆),珍珠岩助滤剂,珍珠岩除渣剂,珍珠岩覆盖剂,园艺珍珠岩,珍珠岩防火板,保温珠光砂,膨润土(钠基/钙基/锂基/饲料级),珍珠岩磨料,空心微珠,高效活性白土,白色/黄色沸石粉以及蒸压加气混凝土砌块等相关制品。 公司一直致力于珍珠岩等非金属矿产资源的开发和应用研究,下属有信阳市平桥区平桥中信保温建材厂、信阳市平桥中信珍珠沙加工厂、信阳市平桥区四通保温材料厂、信阳市吴玉海珍珠岩厂、郑州中信珍珠岩商贸有限公司、上海中信珍珠岩助滤剂厂、河南中信珍珠岩浙江分公司、河南中信珍珠岩武汉分公司、浙江永康中信珍珠岩防火板销售处、江苏苏州中信珠光砂仓库、广东深圳中信珍珠岩销售处等单位,是从事研发、生产、销售和施工为一体的专业化老牌保温材料企业。现有厂区面积98000平方米,厂房、库房建筑面积19000平方米,员工2000余人,其中中高级专业技术人才26人。现有珍珠岩九大系列一百余种产品,行销全国建筑、钢铁、耐火材料、石油、电力、冶金、化工、饮料、国防、园林绿化等行业。其中普通膨胀珍珠岩产量76万立方米/年;表面熔结珍珠岩产量780000吨/年;珍珠岩防水保温板材27万立方米/年;珍珠岩助滤剂60000吨/年;珠光砂(超低温工程用膨胀珍珠岩)80000吨/年;等等。 公司位于河南省信阳市平桥工业区,与“亚洲**”的上天梯非金属矿毗邻。附近有国道107、312和铁路京广、宁西呈双十字交汇,具有丰富的能源原料优势和四通八达的交通便利优势。 公司信奉“原料**、质量**、信誉**”的市场经济真谛,在经营上实施“客户**至上,共赢**关键”的核心价值观,以客户的需要为出发点,提供完善的售前、售中和售后服务,努力打造中国珍珠岩行业的**品牌!热诚欢迎国内外新老客户光临! English Xinyang Zhongxin Perlite Insulation Material Factory is located in Pingqiao District, Xinyang city, Henan Province , where is the hometown of the perlite in China . Xinyang Zhongxin Insulation Material Factoryset up in 1996, is a private industrial company established since over 10 years their activities excentreated in the industrial fields, supplied with wide experiences and customers service requirement. which specializes in production of perlite products. The company possesses of 15 high and intermediate administrative personnel. It has particular kiln types and advanced processing equipments. The expanded perlite product line which is fueled with pulverized coal can be adjusted at discretion to produce thin, intermediate thick, thick, extreme thick expanded perlite serial products ranging from 1 millimeter to 8 millimeters. We are mainly engaged in producing and developing the nonmetallic minerals -- perlite and the paragenesis mineral resource. We produce kinds of Perlite, every year, 20000 tons of Perlite ore, 40000 cubes of Expanded Perlite and more than 6000 tons of closed perlite.Since the company is established, we insist in ’the quality is the life of enterprise’, set up the strict product quality control management system to make sure the high quality. We are be trusted in the customers from all over the world for the products and service. We will service the competitive price, quality products and best customer service to all customers. Welcome enquiry by email or telephone. Among others, the thin products are provided for cryogenic equipments such as air separation equipments, tank car and oxygen plant as well as dynamite agile burst and for producing filter aid of perlite; The intermediate thick products can be confected into perlite goods with various agglomerant; The thick products are divided into two types: the acid ones and the alkalescent ones, which are applied to agriculture and gardening particularly, supervised by Shanghai Gardens Research Institute. The extreme thick products are exported to Japan and Southeast Asia area. The cement, hydrophobic perlite products and PPM bagged heat preservation rendering materials are used for general energy conservation in buildings and the heat preservation of the external cell of the energy conservational buildings; SPLM perlite light fillings have already been broadly applied to Minhang No.4 Line, Sichen Highway Bridge and other projects. The above mentioned advanced processing equipments and the new types have already been attorned to several perlite companies in China distinctively. With the high-speed development of the cryogenic technology, the particular methods of production, store and transportation for the air separation equipments, the vacuum store, the low temperature liquid transportation car and the liquefied natural gas equipment (LNG) include: LNG plant; LNG receiving terminal; LNG tank car; LNG tank boat; LNG aerificational station. Each one needs great quantities of the expanded perlite and the hydrophobic expanded perlite. The company makes use of the product line of the expanded perlite to manufacture the hydrophobic expanded perlite. Because of the unique capability of water resistance, the hydrophobic expanded perlite is more suitable for the thermal insulation of the cryogenic equipments and the liquefied natural gas tank boat and tank car. We are proud to be the first China company specialized in producing of China Perlite since 1990 according to universal and laboratory tested specifications which is used in many applications: ◆Heat insulation in structural work ◆Agricultural applications ◆Cleaning liquid foodstuff ◆Metal Melting application
注册资本(¥) 公司成立时间
公司注册地 法人/负责人
开户银行 帐号
厂房面积 平方米 品牌名称
员工人数 未知 研发部门人数 未知
年营业额 未知
管理体系认证 未知 质量控制 未知
主要市场 未知 主要客户群



公司名称 信阳市平桥区中信珍珠沙加工厂 普通商家  
联系人 冷小林  
座机电话 13938226814  
手机号码 13938226814   
传真号码 0376-6757117  
+++
This record from Alexandria via LeMat-Bulk describes a relaxed V4Si2As crystal. The functional is PBE-GGA.

## Properties
As for the total magnetization: 4.41 μB/f.u. Its formation energy from raw total energies is 0.49 eV/atom. As for the final energy: -48.508 eV per formula unit.

Lattice parameters (Å, degrees): 4.4475 4.4475 7.0046 71.49 71.49 90.00
Closest atoms and distances in Å follow each position.
Atoms (fractional coordinates):
As 0.0000 0.0000 0.0000  6 V 2.22-2.40
Si 0.3878 0.3878 0.2244  5 V 2.46-2.63
Si 0.6122 0.6122 0.7756  5 V 2.46-2.63
V 0.5000 0.0000 0.0000  2 As 2.22
V 0.0000 0.5000 0.0000  2 As 2.22
V 0.1916 0.1916 0.6168  1 As 2.40, 1 Si 2.46
V 0.8084 0.8084 0.3832  1 As 2.40, 1 Si 2.46

=====

This record from Alexandria via LeMat-Bulk describes a relaxed ZrVSiAs2 crystal. The functional is PBE-GGA.

## Properties
As for the total magnetization: 0.12 μB/f.u. Its formation energy from raw total energies is 0.95 eV/atom. As for the final energy: -27.637 eV per formula unit.

Lattice parameters (Å, degrees): 4.6843 4.9048 4.6843 90.00 90.00 90.00
Closest atoms and distances in Å follow each position.
Atoms (fractional coordinates):
Si 0.0000 0.0000 0.0000  4 As 2.34, 2 Zr 2.45
As 0.5000 0.0000 0.0000  2 Si 2.34
As 0.0000 0.0000 0.5000  2 Si 2.34
Zr 0.0000 0.5000 0.0000  2 Si 2.45
V 0.5000 0.5000 0.5000  4 Zr 3.31, 8 As 3.39

=====

This record from Alexandria via LeMat-Bulk describes a relaxed SiAsW2 crystal. The functional is PBE-GGA.

## Properties
As for the total magnetization: 0.00 μB/f.u. Its formation energy from raw total energies is 0.20 eV/atom. As for the final energy: -35.182 eV per formula unit.

Lattice parameters (Å, degrees): 8.2358 8.2358 8.2358 21.20 21.20 21.20
Closest atoms and distances in Å follow each position.
Atoms (fractional coordinates):
As 0.5012 0.5012 0.5012  3 W 2.62, 3 Si 2.73
Si 0.7476 0.7476 0.7476  3 W 2.57, 3 As 2.73
W 0.2484 0.2484 0.2484  3 As 2.62, 3 W 2.75
W 0.0027 0.0027 0.0027  3 Si 2.57, 3 W 2.75

=====

This record from Alexandria via LeMat-Bulk describes a relaxed Si2AsW crystal. The functional is PBE-GGA.

## Properties
As for the total magnetization: 0.00 μB/f.u. Its formation energy from raw total energies is 0.33 eV/atom. As for the final energy: -27.117 eV per formula unit.

Lattice parameters (Å, degrees): 4.8689 4.8689 4.8689 140.61 124.87 69.84
Closest atoms and distances in Å follow each position.
Atoms (fractional coordinates):
W 0.2500 0.7500 0.5000  8 Si 2.66-2.94, 4 As 2.79
Si 0.5130 0.5130 0.0000  2 As 2.50, 2 W 2.66, 4 Si 2.79
Si 0.9870 0.9870 0.0000  2 As 2.50, 2 W 2.66, 4 Si 2.79
As 0.7500 0.2500 0.5000  4 Si 2.50, 4 W 2.79

=====

This record from Alexandria via LeMat-Bulk describes a relaxed SiAsW2 crystal. The functional is PBE-GGA.

## Properties
As for the total magnetization: 0.00 μB/f.u. Its formation energy from raw total energies is 0.46 eV/atom. As for the final energy: -34.122 eV per formula unit.
+++
其它联系 在线留言